The 6 Key Traits of Eco-Friendly Gardening


There are a few key traits of eco-friendly gardening design that will guide you to make the best garden for you and the planet. These traits help us create gardens that work with the systems of mother nature, rather than against her. 

Tapping into eco-friendly techniques is a major way to build resilience in the wake of major climate change and food system disruption. Even though our lawns and gardens seem small, they are mighty! And as we sow the seeds of change in our gardens, we will reap meaningful change in our minds! (All puns intended) 

1. Closing the Loop 

If you get into the nitty-gritty of ecology, you’re bound to run into phrases like “open system” vs “closed system”. Now, I’m not going to dig into advanced ecology, but these ideas are really the key traits of eco-friendly gardening. 

An “open system,” or open loop, is one where inputs are NOT recycled into outputs. Likewise outputs are not recycled into inputs. In other words, there is a lot of waste in this system because resources are moving linearly, not cyclical. 

In opposition is the closed loop. This is where resources are recycled. Nature works in a closed system, and we should be working to mimic this in our gardens. 

A great example of this is compost. When you compost you are creating a closed system in your home and garden. Waste products are recycled into good compost which will feed plants, which will one day return to the compost bin when their life cycle is over, and the cycle continues.

Mimicking nature by closing the loop is a key trait of any eco-friendly garden! 

2. Reduce Chemicals 

A definitive part of mimicking Nature is reducing the amount of ‘input’ our garden needs. One incredibly expensive and detrimental input are chemical biocides. This includes anything that ends in -cide; herbicide, fungicide, pesticide… you get it. 

These chemicals wreak havoc on soil microbes, which in turn harms plants and animals. There’s also a strong and direct link between pesticide use and pollinator populations crashing. 

Reducing chemical use is a key part of eco-friendly gardening. 

3. Reduce Water Usage

Water is another input conventional gardeners may need to use a lot of. Whereas there’s nothing nefarious about excess water, the way there is with biocides, it can put serious strain on our natural resources. 

If we fill our gardens with plants that require more water than is naturally available, we have to draw potable water from our finite supply in order to make up the difference. In areas like American Southwest, or anywhere that experiences extreme heat waves it’s pretty easy to see where this becomes a problem. 

Collecting water, and installing plants that are native to your region are some of the best ways to reduce your water usage, and create a more eco-friendly garden. 

4. Preserve + Promote Biodiversity

Promoting and preserving biodiversity and hallmarks of the sustainable, earth-friendly garden. Rather than filling your yard with 25 of the same boxwood, try to diversify your yard’s portfolio. Include native hollies for birds to nest in, or perennials who’s seeds will feed those same birds all winter. 

Pay attention to what bees and butterflies are native to your area, and do your best to plant responsibly the plants which will support healthy pollinator populations. 

Biodiversity is the best way to build resilience to a changing climate and a changing availability of natural resources. And preserving biodiversity can most certainly start in your yard! 

5. DIY When Possible

Continuing on the idea of “closing the loop” is to DIY when possible. When we try to use the materials we have available to us, rather than getting on good ol’ Amazon and looking for what’s newest, we reduce our impact on the planet. 

# Next to the page, the page also holds materials data
~~~
Diffraction record for La6Pm3Dy2. The PXRD pattern is theoretical, not measured: it uses a crystal structure in Alexandria, relaxed with GGA-PBE and Cu Kα X-rays.
Kinematic intensities with the Lorentz-polarization factor, no thermal factor.

Structure:
Lattice parameters (Å, degrees): 3.6873 3.6873 98.6812 90.00 90.00 120.00
Space group R-3m (No. 166, hexagonal axes)
One atom of each set of equivalent atoms:
La 0.0000 0.0000 0.0914 x6
La 0.0000 0.0000 0.1823 x6
La 0.0000 0.0000 0.3638 x6
Pm 0.0000 0.0000 0.0000 x3
Pm 0.0000 0.0000 0.2726 x6
Dy 0.0000 0.0000 0.4543 x6

Top 10 peaks for 2θ = 10–90°, in order of rising 2θ:
2theta  Rel. int.  h k l
29.7  100  0 1 11
29.9  33  0 0 33
34.5  67  1 0 22
49.4  24  1 1 0
49.7  24  0 1 44
58.7  14  2 0 11
58.8  29  1 1 33
59.1  14  1 0 55
61.7  12  0 2 22
80.3  12  1 2 11

=====

Structure and calculated powder XRD pattern of SmAl4Ag2 (a cell relaxed with GGA-PBE; copper Kα).

Structural model:
```
data_SmAl4Ag2
_chemical_formula_sum 'Sm2 Al8 Ag4'
_cell_length_a 4.1666
_cell_length_b 15.8844
_cell_length_c 4.1515
_cell_angle_alpha 90.00
_cell_angle_beta 90.00
_cell_angle_gamma 90.00
_symmetry_space_group_name_H-M 'C m m m'
_symmetry_Int_Tables_number 65
_symmetry_space_group_name_Hall '-C 2 2'
loop_
_atom_site_label
_atom_site_type_symbol
_atom_site_fract_x
_atom_site_fract_y
_atom_site_fract_z
_atom_site_occupancy
Sm1 Sm 0.0000 0.0000 0.0000 1
Al1 Al 0.0000 0.1871 0.5000 1
Al2 Al 0.0000 0.3100 0.0000 1
Ag1 Ag 0.0000 0.4147 0.5000 1
```

Largest 6 diffraction maxima, most intense first, 10 to 90 degrees two-theta:
d/Å  I (rel.)  (hkl)
2.892  1000  1 1 1
7.942  869  0 2 0
2.526  460  1 5 0
2.571  456  1 3 1
2.870  408  0 4 1
2.232  358  0 6 1

=====

(1)
The following is a simulated powder diffractogram of RbCu4Se5. It was derived from a structure optimized by DFT (PBE), using Cu Kα, 1.54184 Å.
Intensities are scaled so that the largest is 100.

Top 6 peaks for 2θ = 15–90°, in order of rising 2θ:
| d/Å | I_rel |
| --- | --- |
| 3.066 | 47 |
| 3.035 | 43 |
| 2.955 | 100 |
| 2.771 | 43 |
| 2.021 | 73 |
| 1.796 | 71 |

a = 7.5025 Å, b = 11.0840 Å, c = 5.3226 Å
α = 90.00°, β = 90.00°, γ = 90.00°
Fractional coordinates of all 20 atoms:
Rb 0.2500 0.2500 0.1726
Rb 0.7500 0.7500 0.8274
Cu 0.0728 0.7500 0.3844
Cu 0.2500 0.5451 0.9515
Cu 0.2500 0.9549 0.9515
Cu 0.4272 0.7500 0.3844
Cu 0.5728 0.2500 0.6156
Cu 0.7500 0.0451 0.0485
Cu 0.7500 0.4549 0.0485
Cu 0.9272 0.2500 0.6156
Se 0.0035 0.5501 0.2764
Se 0.0035 0.9499 0.2764
Se 0.2500 0.7500 0.7651
Se 0.4965 0.5501 0.2764
Se 0.4965 0.9499 0.2764
Se 0.5035 0.0501 0.7236
Se 0.5035 0.4499 0.7236
Se 0.7500 0.2500 0.2349
Se 0.9965 0.0501 0.7236
Se 0.9965 0.4499 0.7236

(2)
The following is a simulated powder diffractogram of Pm2Pr3Tm3. It was derived from a structure optimized by DFT (PBE), using Cu Kα, 1.54184 Å.
Intensities are scaled so that the largest is 100.

Top 6 peaks for 2θ = 15–90°, in order of rising 2θ:
| d/Å | I_rel |
| --- | --- |
| 2.950 | 100 |
~~~

Not only is there an environmental cost to producing so much stuff, there’s also a cost in shipping it all over the world. When we make do with what we have locally, we’re being more eco-friendly. 

6. Reduce Lawn Space

This may seem a little disjointed but hear me out. Americans dump millions of dollars into grass seed, fertilizer, and herbicides every year. On top of that millions of gallons of water are used to keep those lawns hydrated and healthy. 

And what do we get for those millions and millions of resource dollars and gallons? Not much (ecologically speaking). Now, I love a glowing green lawn just as much as the next suburbanite, but we have to ask ourselves, Do we really need this much lawn? 

I am an avid fan of badminton, croquet, and other lawn games, so I certainly think you need a lawn. But does your whole yard need to be a lawn? We could debate about that…

Reducing lawn space increases the space potential for us to create habitat, supply food for us and other creatures, and helps prevent soil erosion and water runoff. 

Keep your lawn and love it well. But maybe ask yourself, could we afford to lose a little bit here and there? 


Reading about all these changes at once may seem overwhelming. But remember that these key traits of eco-friendly gardening can be broken down into smaller steps. Starting small is possible, and any change is meaningful. I hope you have found some inspiration and ideas here to make your yard or garden a bit more eco-friendly. 

Hey Barefoot Fans! If you’re interested in learning how to create a sustainable EDIBLE garden, check out our new guide to edible gardening!